~~~
# 1
# MnFeRe2

Crystalline MnFeRe2 at its relaxed geometry (PBE, the Alexandria database).

Lattice parameters (Å, degrees): 6.0176 6.0176 6.0176 90.00 90.00 90.00
Space group F-43m (No. 216)
Inequivalent atoms, fractional coordinates:
Mn 0.0000 0.0000 0.0000 (multiplicity 4)
Fe 0.2500 0.2500 0.7500 (multiplicity 4)
Re 0.0000 0.0000 0.5000 (multiplicity 4)
Re 0.2500 0.2500 0.2500 (multiplicity 4)

Computed properties:
Its energy of formation from the pure elements is 0.0795 eV/atom. Its total magnetization is 1.172 μB/atom. As for the density of states at the Fermi level: 0.714 states/eV per atom. The total energy is -168.84 eV for the cell shown. The calculation puts the mass density at 14.7 g/cm3. For the excess energy over the best structure of this formula in the dataset, the calculation gives 0.038 eV per atom.



# 2
# MnFeRe2

Crystalline MnFeRe2 at its relaxed geometry (PBE, the Alexandria database).

Lattice parameters (Å, degrees): 2.6123 4.1676 5.1075 90.00 102.26 90.00
Space group P2/m (No. 10)
Inequivalent atoms, fractional coordinates:
Mn 0.0000 0.0000 0.0000 (multiplicity 1)
Fe 0.5000 0.0000 0.5000 (multiplicity 1)
Re 0.2559 0.5000 0.7494 (multiplicity 2)

Computed properties:
Its energy of formation from the pure elements is 0.1273 eV/atom. Its total magnetization is 1.115 μB/atom. As for the density of states at the Fermi level: 0.904 states/eV per atom. The total energy is -42.02 eV for the cell shown. The calculation puts the mass density at 14.8 g/cm3. For the excess energy over the best structure of this formula in the dataset, the calculation gives 0.085 eV per atom.



# 3
# MnFe2Re

Crystalline MnFe2Re at its relaxed geometry (PBE, the Alexandria database).

Lattice parameters (Å, degrees): 2.9730 4.1500 8.1799 90.00 90.00 90.00
Space group Cmmm (No. 65)
Inequivalent atoms, fractional coordinates:
Mn 0.0000 0.0000 0.0000 (multiplicity 2)
Fe 0.0000 0.5000 0.2400 (multiplicity 4)
Re 0.0000 0.0000 0.5000 (multiplicity 2)

Computed properties:
Its energy of formation from the pure elements is 0.1726 eV/atom. Its total magnetization is 1.540 μB/atom. As for the density of states at the Fermi level: 1.263 states/eV per atom. The total energy is -75.70 eV for the cell shown. The calculation puts the mass density at 11.6 g/cm3. For the excess energy over the best structure of this formula in the dataset, the calculation gives 0.140 eV per atom.



# 4
# MnFe2Re

Crystalline MnFe2Re at its relaxed geometry (PBE, the Alexandria database).

Lattice parameters (Å, degrees): 5.8252 5.8252 5.8252 90.00 90.00 90.00
Space group F-43m (No. 216)
Inequivalent atoms, fractional coordinates:
Mn 0.0000 0.0000 0.0000 (multiplicity 4)
Fe 0.0000 0.0000 0.5000 (multiplicity 4)
Fe 0.2500 0.2500 0.7500 (multiplicity 4)
Re 0.2500 0.2500 0.2500 (multiplicity 4)

Computed properties:
Its energy of formation from the pure elements is 0.0626 eV/atom. Its total magnetization is 1.463 μB/atom. As for the density of states at the Fermi level: 0.918 states/eV per atom. The total energy is -153.17 eV for the cell shown. The calculation puts the mass density at 11.9 g/cm3. For the excess energy over the best structure of this formula in the dataset, the calculation gives 0.030 eV per atom.



# 5
# MnFe2Re

Crystalline MnFe2Re at its relaxed geometry (PBE, the Alexandria database).

Lattice parameters (Å, degrees): 2.5911 3.5818 5.2026 90.00 90.00 90.00
Space group Pmm2 (No. 25)
Inequivalent atoms, fractional coordinates:
Mn 0.0000 0.0000 0.0000 (multiplicity 1)
Fe 0.0000 0.0000 0.5302 (multiplicity 1)
Fe 0.5000 0.5000 0.7696 (multiplicity 1)
Re 0.5000 0.5000 0.2810 (multiplicity 1)

Computed properties:
~~~

What is needed: find the line above that holds "0.2559 0.5000", then quote that line and all lines after it there.

Re 0.2559 0.5000 0.7494 (multiplicity 2)

Computed properties:
Its energy of formation from the pure elements is 0.1273 eV/atom. Its total magnetization is 1.115 μB/atom. As for the density of states at the Fermi level: 0.904 states/eV per atom. The total energy is -42.02 eV for the cell shown. The calculation puts the mass density at 14.8 g/cm3. For the excess energy over the best structure of this formula in the dataset, the calculation gives 0.085 eV per atom.



# 3
# MnFe2Re

Crystalline MnFe2Re at its relaxed geometry (PBE, the Alexandria database).

Lattice parameters (Å, degrees): 2.9730 4.1500 8.1799 90.00 90.00 90.00
Space group Cmmm (No. 65)
Inequivalent atoms, fractional coordinates:
Mn 0.0000 0.0000 0.0000 (multiplicity 2)
Fe 0.0000 0.5000 0.2400 (multiplicity 4)
Re 0.0000 0.0000 0.5000 (multiplicity 2)

Computed properties:
Its energy of formation from the pure elements is 0.1726 eV/atom. Its total magnetization is 1.540 μB/atom. As for the density of states at the Fermi level: 1.263 states/eV per atom. The total energy is -75.70 eV for the cell shown. The calculation puts the mass density at 11.6 g/cm3. For the excess energy over the best structure of this formula in the dataset, the calculation gives 0.140 eV per atom.



# 4
# MnFe2Re

Crystalline MnFe2Re at its relaxed geometry (PBE, the Alexandria database).

Lattice parameters (Å, degrees): 5.8252 5.8252 5.8252 90.00 90.00 90.00
Space group F-43m (No. 216)
Inequivalent atoms, fractional coordinates:
Mn 0.0000 0.0000 0.0000 (multiplicity 4)
Fe 0.0000 0.0000 0.5000 (multiplicity 4)
Fe 0.2500 0.2500 0.7500 (multiplicity 4)
Re 0.2500 0.2500 0.2500 (multiplicity 4)

Computed properties:
Its energy of formation from the pure elements is 0.0626 eV/atom. Its total magnetization is 1.463 μB/atom. As for the density of states at the Fermi level: 0.918 states/eV per atom. The total energy is -153.17 eV for the cell shown. The calculation puts the mass density at 11.9 g/cm3. For the excess energy over the best structure of this formula in the dataset, the calculation gives 0.030 eV per atom.



# 5
# MnFe2Re

Crystalline MnFe2Re at its relaxed geometry (PBE, the Alexandria database).

Lattice parameters (Å, degrees): 2.5911 3.5818 5.2026 90.00 90.00 90.00
Space group Pmm2 (No. 25)
Inequivalent atoms, fractional coordinates:
Mn 0.0000 0.0000 0.0000 (multiplicity 1)
Fe 0.0000 0.0000 0.5302 (multiplicity 1)
Fe 0.5000 0.5000 0.7696 (multiplicity 1)
Re 0.5000 0.5000 0.2810 (multiplicity 1)

Computed properties: